# Assignment
Please repeat only the lines further down with the word "level" in them.

# Source
____________
This record from OMol25 describes a cluster of 3 separate species, C3H12N2O2 in total at a distorted geometry. The level of theory is wB97M-V/def2-TZVPD.

Summary:
Max |F| (Eh/bohr): 0.089
Total charge: +1
Spin multiplicity: 2
LUMO level (alpha / beta) (eV): -4.0711 / -8.6335
HOMO energy (alpha / beta) (eV): -14.2 / -14.2

Geometry as XYZ:
```
19
Properties=species:S:1:pos:R:3:forces:R:3:mulliken_charge:R:1
C 2.414 0.421 -0.574 -1.78 0.09 -0.58 -1.171
C 0.964 0.855 -0.066 0.81 -1.98 -0.60 -0.483
N -1.894 1.048 0.499 2.84 -2.70 -0.97 -0.372
C -1.282 -0.105 -0.044 -4.34 0.47 1.36 0.152
N -0.113 -0.210 -0.497 2.34 2.95 0.19 -0.041
H 3.135 1.152 -0.274 0.44 0.16 0.83 0.368
H 2.650 -0.621 -0.309 -0.02 0.65 0.37 0.343
H 2.492 0.478 -1.664 -0.53 -0.09 0.03 0.331
H 0.888 0.962 1.032 0.25 -0.25 -0.48 0.427
H 0.564 1.777 -0.547 0.29 -0.56 -0.13 0.475
H -1.170 1.602 0.983 -1.24 0.20 -0.17 0.280
H -2.767 0.786 0.942 0.06 0.62 0.20 0.312
H -2.000 -0.962 -0.129 0.91 0.41 0.00 0.381
H -1.053 1.200 -4.371 0.51 -0.05 0.04 0.330
H 0.047 0.749 -3.390 -0.07 -0.16 0.05 0.286
O -0.089 1.150 -4.249 -0.45 0.18 -0.08 -0.618
H -1.713 -3.404 4.214 0.13 0.00 -0.06 0.329
H -0.253 -3.644 4.553 0.04 0.02 -0.07 0.331
O -0.820 -3.234 3.891 -0.18 0.02 0.08 -0.659
```
Positions in Å, forces in eV/Å.



This record from OMol25 describes a cluster of 3 separate species, C3H12N2O3 in total at a distorted geometry. The level of theory is wB97M-V/def2-TZVPD.

Summary:
Max |F| (Eh/bohr): 0.113
Total charge: 0
LUMO level (eV): -4.6592
HOMO energy (eV): -8.7

Geometry as XYZ:
```
20
Properties=species:S:1:pos:R:3:forces:R:3:mulliken_charge:R:1
N 0.820 0.925 -0.708 -0.85 -0.42 1.89 -0.604
C 0.063 0.613 0.509 3.45 2.01 -0.82 0.115
C -0.418 1.853 1.217 0.89 -0.12 2.42 -1.187
C -1.169 -0.294 0.153 -5.71 0.80 0.53 0.470
N -1.772 0.162 -1.128 0.22 -0.77 2.39 -0.438
O -2.029 -0.254 1.205 2.56 -0.55 -3.35 -0.437
H 1.118 0.080 -1.192 0.25 -1.00 -0.47 0.391
H 1.672 1.460 -0.498 -0.85 0.45 -0.09 0.282
H 0.629 -0.035 1.191 -0.34 -0.59 -0.21 0.294
H -1.086 2.406 0.585 -0.49 0.36 0.05 0.259
H -0.919 1.459 2.189 0.67 1.19 -1.60 0.350
H 0.465 2.526 1.492 -1.14 -0.96 -0.42 0.370
H -1.440 1.043 -1.450 0.43 0.50 -0.53 0.288
H -2.783 0.137 -1.052 -0.04 0.00 -0.10 0.289
H 1.766 -2.133 -2.313 -0.18 1.16 1.14 0.198
H 1.495 -1.981 -0.255 0.10 0.00 -0.41 0.400
O 1.669 -1.470 -1.578 0.06 -0.94 -1.19 -0.930
H -0.752 -1.275 -0.032 1.33 -1.20 0.13 0.298
H 1.415 -3.074 0.931 -0.02 -0.02 0.04 0.266
O 1.256 -2.149 0.734 -0.35 0.10 0.61 -0.675
```
Positions in Å, forces in eV/Å.



This record from OMol25 describes a cluster of 3 separate species, C3H12N2O3 in total at a distorted geometry. The level of theory is wB97M-V/def2-TZVPD.

Summary:
Max |F| (Eh/bohr): 0.030
Total charge: 0
LUMO level (eV): 0.3241
Structure (SMILES): NCCC(N)=O.O.O
HOMO energy (eV): -9.1

Geometry as XYZ:
```
20
Properties=species:S:1:pos:R:3:forces:R:3:mulliken_charge:R:1
C 1.431 0.258 -0.653 -0.33 1.26 -0.52 -0.385
C 1.806 0.656 0.793 -0.10 -0.88 -0.81 -0.356
C 2.964 -0.236 1.225 -0.20 1.34 0.75 0.328
N 2.850 -0.776 2.458 0.21 -0.44 0.11 -0.384
O 3.986 -0.305 0.586 0.25 -0.32 -0.57 -0.602
N -0.006 0.375 -0.911 0.83 0.07 -0.09 -0.482
H 1.820 -0.709 -0.966 -0.06 -0.24 0.44 0.356
H 1.920 0.974 -1.320 0.27 -0.11 0.04 0.199
H 0.918 0.599 1.425 0.12 -0.28 0.21 0.266
H 2.153 1.685 0.845 0.09 0.05 -0.09 0.256
H 3.613 -1.355 2.768 -0.09 -0.06 0.11 0.242
H 1.975 -0.806 2.934 -0.23 -0.06 0.20 0.197
H -0.584 0.653 -0.141 -0.29 -0.39 -0.15 0.174
H -0.339 -0.254 -1.619 -0.51 0.05 0.37 0.198
H -5.698 0.570 -4.592 0.09 0.02 0.03 0.319
H -5.605 1.436 -3.323 -0.01 -0.09 -0.13 0.320
O -6.227 1.049 -3.949 -0.08 0.07 0.10 -0.639
H -2.260 -1.634 0.764 0.26 0.25 -0.04 0.323
H -2.133 -0.708 2.026 0.07 -0.12 -0.36 0.311
O -2.584 -1.473 1.652 -0.30 -0.12 0.40 -0.641
```
Positions in Å, forces in eV/Å.



This record from OMol25 describes a cluster of 2 separate species, C3H12N2OS in total. The level of theory is wB97M-V/def2-TZVPD.

Summary:
____________

# Completed
This record from OMol25 describes a cluster of 3 separate species, C3H12N2O2 in total at a distorted geometry. The level of theory is wB97M-V/def2-TZVPD.
LUMO level (alpha / beta) (eV): -4.0711 / -8.6335
This record from OMol25 describes a cluster of 3 separate species, C3H12N2O3 in total at a distorted geometry. The level of theory is wB97M-V/def2-TZVPD.
LUMO level (eV): -4.6592
This record from OMol25 describes a cluster of 3 separate species, C3H12N2O3 in total at a distorted geometry. The level of theory is wB97M-V/def2-TZVPD.
LUMO level (eV): 0.3241
This record from OMol25 describes a cluster of 2 separate species, C3H12N2OS in total. The level of theory is wB97M-V/def2-TZVPD.